
Showing posts from September, 2017

Tagbilaran Random Sights and Scenes

Before we get out of Bohol, I would like to share some random sights, sites and scenes I encountered around Tagbilaran, my "base of operations" while roaming the southern towns of this island/province. Let's start with this, a view inside the St. Joseph Cathedral of Tagbilaran City, Bohol ... The Old Provincial Capitol of Bohol , now a museum. Still not ticked-off from my bucket list! Part of the urbanized areas of Tagbilaran... "Oling" = "Uling" = "Charcoal"... an essesntial in the Visayas - a barbecue country! There are still big old wooden houses in the city, but they're slowly modernizing... I saw an interesting 'vintage' vehicle on the road. It looks like a fairy-tale ride! It's an old 'carriage' or 'caruaje' or 'karwahe' that you would imagine being drawn by horses. That's one ride (I guess) that no Pinoy would wish to do anytime soon. Would you? If so, may you R est I n P e

Ocean Café Near The Blood Compact Monument

These materials data were left in the piece by mistake:
┌──
(1)
Material: Ca11Tl9O24
Method: DFT, PBE
State: optimized geometry

Cell lengths 11.3899, 6.7575, 16.8426 Å; angles 90.00, 90.15, 90.00 degrees
Fractional positions:
Ca (0.1036, 0.2500, 0.1414)
Ca (0.1055, 0.7500, 0.1449)
Ca (0.1340, 0.7500, 0.5413)
Ca (0.1346, 0.2500, 0.5409)
Ca (0.1690, 0.2500, 0.7759)
Ca (0.1689, 0.7500, 0.7764)
Ca (0.3311, 0.2500, 0.2753)
Ca (0.3648, 0.7500, 0.0397)
Ca (0.3664, 0.2500, 0.0407)
Ca (0.3909, 0.7500, 0.6478)
Ca (0.3932, 0.2500, 0.6479)
Ca (0.6068, 0.7500, 0.3521)
Ca (0.6091, 0.2500, 0.3522)
Ca (0.6336, 0.7500, 0.9593)
Ca (0.6352, 0.2500, 0.9603)
Ca (0.6689, 0.7500, 0.7247)
Ca (0.8311, 0.2500, 0.2236)
Ca (0.8310, 0.7500, 0.2241)
Ca (0.8654, 0.7500, 0.4591)
Ca (0.8660, 0.2500, 0.4587)
Ca (0.8945, 0.2500, 0.8551)
Ca (0.8964, 0.7500, 0.8586)
Tl (0.0830, 0.0006, 0.3538)
Tl (0.0830, 0.4994, 0.3538)
Tl (0.1349, 0.0003, 0.9546)
Tl (0.1349, 0.4997, 0.9546)
Tl (0.3301, 0.7500, 0.2734)
Tl (0.3651, 0.0007, 0.4562)
Tl (0.3651, 0.4993, 0.4562)
Tl (0.4142, 0.5013, 0.8524)
Tl (0.4142, 0.9987, 0.8524)
Tl (0.5858, 0.0013, 0.1476)
Tl (0.5858, 0.4987, 0.1476)
Tl (0.6349, 0.5007, 0.5438)
Tl (0.6349, 0.9993, 0.5438)
Tl (0.6699, 0.2500, 0.7266)
Tl (0.8651, 0.9997, 0.0454)
Tl (0.8651, 0.5003, 0.0454)
Tl (0.9170, 0.5006, 0.6462)
Tl (0.9170, 0.9994, 0.6462)
O (0.0000, 0.0000, 0.5000)
O (0.0003, 0.2500, 0.0008)
O (0.0000, 0.5000, 0.5000)
O (0.9997, 0.7500, 0.9992)
O (0.0436, 0.2500, 0.6659)
O (0.0444, 0.7500, 0.6662)
O (0.0491, 0.0000, 0.8395)
O (0.0491, 0.5000, 0.8395)
O (0.1943, 0.5040, 0.2412)
O (0.1943, 0.9960, 0.2412)
O (0.2191, 0.2500, 0.4056)
O (0.2196, 0.0006, 0.0696)
O (0.2196, 0.4994, 0.0696)
O (0.2215, 0.7500, 0.4036)
O (0.2792, 0.5007, 0.5706)
O (0.2792, 0.9993, 0.5706)
O (0.2797, 0.7500, 0.9064)
O (0.2821, 0.2500, 0.9057)
O (0.3064, 0.9998, 0.7400)
O (0.3064, 0.5002, 0.7400)
O (0.4482, 0.5024, 0.3392)
O (0.4482, 0.9976, 0.3392)
O (0.4535, 0.7500, 0.1672)
O (0.4566, 0.2500, 0.1665)
O (0.5000, 0.0000, 0.0000)
O (0.5005, 0.2500, 0.4988)
O (0.5000, 0.5000, 0.0000)
O (0.4995, 0.7500, 0.5012)
O (0.5434, 0.7500, 0.8335)
O (0.5465, 0.2500, 0.8328)
O (0.5518, 0.0024, 0.6608)
O (0.5518, 0.4976, 0.6608)
O (0.6936, 0.0002, 0.2600)
O (0.6936, 0.4998, 0.2600)
O (0.7179, 0.7500, 0.0943)
O (0.7203, 0.2500, 0.0936)
O (0.7208, 0.0007, 0.4294)
O (0.7208, 0.4993, 0.4294)
O (0.7785, 0.2500, 0.5964)
O (0.7804, 0.5006, 0.9304)
O (0.7804, 0.9994, 0.9304)
O (0.7809, 0.7500, 0.5944)
O (0.8057, 0.0040, 0.7588)
O (0.8057, 0.4960, 0.7588)
O (0.9509, 0.0000, 0.1605)
O (0.9509, 0.5000, 0.1605)
O (0.9556, 0.2500, 0.3338)
O (0.9564, 0.7500, 0.3341)

Calculated values
Its theoretical density is 6.83 g/cm3. For the uncorrected energy, the calculation gives -0.405 Ry/atom. For the spin magnetization, the calculation gives 0.000 μB per atom. The space-group type is P2_1/m, No. 11.

=====

(2)
Material: Ca2Tl2O5
Method: DFT, PBE
State: optimized geometry

Cell lengths 5.9168, 5.9168, 13.6847 Å; angles 90.00, 90.00, 146.59 degrees
Fractional positions:
└──

I had to rush back to Tagbilaran City as my meet-up was all-of-a-sudden happening here, instead of at Alburquerque as previously agreed. Ah, it happens when we mix work with leisure. Lesson duly noted! What was the lesson? Ah eh... kalimutan na ang %^!%$* work na yan 😈 bwahahaha ! Wait, does this mean I skipped the town of Baclayon on this westward joyride back to Tagbilaran from Anda ? Well yes, because nga of the meeting . Although I actually also considered skipping Baclayon if evening fell, since I've been there many times before, and am sure to pass by it soon again and again. Anyway, I said yes when my 'kausap' changed the venue to Ocean Cafe, even if I didn't know where in Tagbilaran it may be. My reasoning was: it's only in Tagbilaran, I or my driver should be able to find it. Eto na.., we easily found it via google, right beside the "Sandugo" or " Blood Compact " Monument! Hesumalusep andito lang pala! Even my guide says he pa

Alburquerque Town Center

Alburquerque, Bohol. Let us start with that name - just for us to be careful with historical associations and the 'origin of things' around us! As I said more than 2 decades ago , be careful with that name. It is Albu r querque with a letter "R" on the second syllable. It is different from Albuquerque City in America ! Ah, idamay na rin natin sa usapan yan... yes, Albuquerque is a US city in the state of New Mexico - not in the country of Mexico, because there's no city nor town named Albuquerque or Alburquerque there. But here are 2 cute facts: Albuquerque City, NM was originally named "Villa De Albu r querque". There's one town named exactly "Albu r querque" in the province of Badajoz, Spain (mlapit na yan sa Portugal). That can muddle or even belie the theory of some folks who say that 'Albur' in Bohol was named after a city in Mexico due to the associations that resulted from the Manila-Acapulco Trade. It can also be, tha

Lingering Around Loay

So we arrived at Loay from Lila . This stage of my joyride took us a little less than 20 minutes, probably because we had to slow down or stop to gaze at things along the way, like the " water glide " and so on! Otherwise, this could have been just a 10 minute joyride, had we rolled continuously, so said my driver. Loay is a place that most visitors to Bohol pass-by, but few (include me, please) actually get to see. Its town center is well-known to travelers, drivers and tour-guides, as that corner along the scenic coastal circumferential road, where one must veer off going to Loboc , Bilar or onwards to the Chocolate Hills . I myself had been breezing-by, yet longing to stop at least for a while, and see the surroundings of this town, for many years now. But circumstances in those many times were just not in my favor. So I said this was it! Yet, the guide made some kind of a "disclaimer" saying "it may not be how I want to see it"! Argh! Bakit? He

Oh Lila!

So here I was in Lila, Bohol. This town is only about 8 kilometers on a westward run from Dimiao . But and however, midway on that distance is actually the boundary between the two towns - which is Banban 1 Bridge that I mentioned on the last paragraph of my previous story . Let's take it from there! But let us clarify that again, I was traveling on the opposite direction of the usual way of travelers who would normally come from Tagbilaran. Ako, I came from the eastern end of Bohol ( Mabini , Anda , etc). The other side of that signage says "Come Again" - that is still "Lila speaking". You might be wondering, if that bridge pictured above is named "Banban 1", there must be a Banban 2 or 3 etc? Well, there's at least Banban 2 that I saw, some 400 meters prior to that spot, on Dimiao side. I'm saying all that because, both bridges have wonderful views of the sea. Good selfie spots! Plus, the place above with the colored flags, is a res

Dimiao, Bohol

This next hop was nearer, only about 5 kilometers from Valencia to Dimiao, my next destination on the southern Bohol itinerary. At midpoint of that distance is Tangohay Bridge that signifies their boundary. Right after the bridge, there is this simple, not so 'loud' welcome signage, but it made me smile... It says " Welcome to Dimiao, the town of MUSIC, BEAUTY & GLEE ". O ha! Isn't it itriguingly interesting? Wah! On the other side (left) of that road, you could already see that a few steps away is a beach with light-colored sand. Not white, but not black, and it looks already enviting! I saw at least 1 "mini-resort". When I say "mini-resort", I mean it is the usual countryside family-owned "backyard enterprise" where owners put up a few benches and little shacks usually called 'cottage' for visitors to spend the day at. I got engrossed looking at the beach and the nice views of the sea behind the houses, and ther